_Entries_
'''
Entry 1:
The following is a DFT calculation (GGA-PBE) of a geometry-optimized CeNdC structure.

abc: 3.233 3.233 12.418
angles: 90.00 90.00 90.00
Element x y z (fractional)
Ce 0.000 0.000 0.000
Ce 0.500 0.500 0.500
Nd 0.000 0.000 0.228
Nd 0.500 0.500 0.728
C 0.000 0.000 0.604
C 0.500 0.500 0.104

Results
offset from the most stable computed form: 362 meV/atom
VASP energy: -6.393 eV/atom


Entry 2:
The following is a DFT calculation (GGA-PBE) of a geometry-optimized CeNd2C structure.

abc: 3.597 3.597 30.096
angles: 90.00 90.00 120.00
Element x y z (fractional)
Ce 0.000 0.000 0.000
Ce 0.333 0.667 0.667
Ce 0.667 0.333 0.333
Nd 0.000 0.000 0.119
Nd 0.000 0.000 0.881
Nd 0.333 0.667 0.548
Nd 0.333 0.667 0.786
Nd 0.667 0.333 0.214
Nd 0.667 0.333 0.452
C 0.000 0.000 0.500
C 0.333 0.667 0.167
C 0.667 0.333 0.833

Results
VASP energy: -6.069 eV/atom


Entry 3:
The following is a DFT calculation (GGA-PBE) of a geometry-optimized CeNd3C structure.

abc: 5.235 5.235 5.235
angles: 90.00 90.00 90.00
Element x y z (fractional)
Ce 0.000 0.000 0.000
Nd 0.000 0.500 0.500
Nd 0.500 0.000 0.500
Nd 0.500 0.500 0.000
C 0.500 0.500 0.500

Results
VASP energy: -5.694 eV/atom


Entry 4:
The following is a DFT calculation (GGA-PBE) of a geometry-optimized Ce2NdC2 structure.

abc: 6.516 6.516 5.274
angles: 108.25 108.25 96.46
Element x y z (fractional)
Ce 0.055 0.289 0.463
Ce 0.289 0.055 0.963
Ce 0.711 0.945 0.037
Ce 0.945 0.711 0.537
Nd 0.356 0.644 0.250
Nd 0.644 0.356 0.750
C 0.095 0.905 0.250
C 0.344 0.656 0.750
C 0.656 0.344 0.250
C 0.905 0.095 0.750

Results
offset from the most stable computed form: 228 meV/atom
VASP energy: -6.871 eV/atom


Entry 5:
The following is a DFT calculation (GGA-PBE) of a geometry-optimized CeNd2PbC structure.

abc: 5.168 5.168 4.930
angles: 90.00 90.00 90.00
Element x y z (fractional)
Ce 0.000 0.000 0.000
Nd 0.000 0.500 0.500
Nd 0.500 0.000 0.500
Pb 0.500 0.500 0.000
C 0.000 0.000 0.500

Results
VASP energy: -6.067 eV/atom


Entry 6:
The following is a DFT calculation (GGA-PBE) of a geometry-optimized Ce2NdPbC structure.

abc: 4.971 4.971 5.199
angles: 90.00 90.00 90.00
Element x y z (fractional)
Ce 0.000 0.500 0.000
Ce 0.500 0.000 0.000
Nd 0.000 0.000 0.500
Pb 0.500 0.500 0.500
C 0.000 0.000 0.000

Results
VASP energy: -6.296 eV/atom


Entry 7:
The following is a DFT calculation (GGA-PBE) of a geometry-optimized CeNd2Tc2C4 structure.

abc: 7.058 7.058 6.236
angles: 108.94 108.94 29.13
Element x y z (fractional)
Ce 0.000 0.000 0.000
Nd 0.135 0.135 0.532
Nd 0.865 0.865 0.468
Tc 0.319 0.319 0.005
Tc 0.681 0.681 0.995
C 0.224 0.224 0.209
C 0.457 0.457 0.243
C 0.543 0.543 0.757
C 0.776 0.776 0.791

Results
VASP energy: -8.114 eV/atom


Entry 8:
The following is a DFT calculation (GGA-PBE) of a geometry-optimized Ce2NdTlC structure.

abc: 4.959 4.959 5.204
angles: 90.00 90.00 90.00
Element x y z (fractional)
Ce 0.000 0.500 0.000
Ce 0.500 0.000 0.000
Nd 0.000 0.000 0.500
Tl 0.500 0.500 0.500
C 0.000 0.000 0.000

Results
VASP energy: -5.918 eV/atom


Entry 9:
The following is a DFT calculation (GGA-PBE) of a geometry-optimized CeNd2TlC structure.

abc: 5.177 5.177 4.906
angles: 90.00 90.00 90.00
Element x y z (fractional)
Ce 0.000 0.000 0.000
Nd 0.000 0.500 0.500
Nd 0.500 0.000 0.500
Tl 0.500 0.500 0.000
C 0.000 0.000 0.500

Results
VASP energy: -5.693 eV/atom


Entry 10:
The following is a DFT calculation (GGA-PBE) of a geometry-optimized Ce2NdZnC structure.

abc: 4.884 4.884 5.142
angles: 90.00 90.00 90.00
Element x y z (fractional)
Ce 0.000 0.500 0.000
Ce 0.500 0.000 0.000
Nd 0.000 0.000 0.500
Zn 0.500 0.500 0.500
C 0.000 0.000 0.000

Results
VASP energy: -5.521 eV/atom


Entry 11:
The following is a DFT calculation (GGA-PBE) of a geometry-optimized CeNiC structure.

abc: 6.671 5.109 5.220
angles: 90.00 90.00 90.00
Element x y z (fractional)
Ce 0.181 0.250 0.139
Ce 0.319 0.750 0.639
Ce 0.681 0.250 0.361
Ce 0.819 0.750 0.861
Ni 0.035 0.250 0.651
Ni 0.465 0.750 0.151
Ni 0.535 0.250 0.849
Ni 0.965 0.750 0.349
'''

_Job_
Count the lines above that contain the word "fractional" and give the number alone.

_Done_
11